File =
'''
Calculated powder X-ray diffraction pattern of Re3Ni2P5 for Cu Kα (weighted mean of Kα1 and Kα2), from a GGA-PBE-relaxed structure.
Peak positions follow from Bragg's law for the DFT cell and can differ from measured ones.

Most intense lines, 10° ≤ 2θ ≤ 80°, by angle:
(0 1 5), 21.24 deg, 4.184 Å, I = 61
(0 0 10), 29.56 deg, 3.022 Å, I = 34
(0 2 0), 30.84 deg, 2.899 Å, I = 44
(1 0 5), 32.19 deg, 2.780 Å, I = 100
(0 2 10), 43.25 deg, 2.092 Å, I = 53
(1 1 10), 44.50 deg, 2.036 Å, I = 47
(1 2 5), 45.18 deg, 2.007 Å, I = 100
(0 1 15), 47.80 deg, 1.903 Å, I = 27
(1 0 15), 54.14 deg, 1.694 Å, I = 20
(2 2 10), 75.90 deg, 1.254 Å, I = 20

Structural model:
```
data_Re3Ni2P5
_cell_length_a 3.1316
_cell_length_b 5.7985
_cell_length_c 30.2153
_cell_angle_alpha 90.00
_cell_angle_beta 90.00
_cell_angle_gamma 90.00
_symmetry_space_group_name_H-M 'I m m 2'
_symmetry_Int_Tables_number 44
_symmetry_space_group_name_Hall 'I 2 -2'
loop_
_atom_site_label
_atom_site_type_symbol
_atom_site_fract_x
_atom_site_fract_y
_atom_site_fract_z
_atom_site_occupancy
Re1 Re 0.0000 0.0000 0.0000 1
Re2 Re 0.0000 0.0000 0.1980 1
Re3 Re 0.0000 0.0000 0.3975 1
Re4 Re 0.0000 0.0000 0.5982 1
Re5 Re 0.0000 0.0000 0.7959 1
Re6 Re 0.0000 0.5000 0.3797 1
Ni1 Ni 0.0000 0.5000 0.1775 1
Ni2 Ni 0.0000 0.5000 0.5789 1
Ni3 Ni 0.0000 0.5000 0.7779 1
Ni4 Ni 0.0000 0.5000 0.9780 1
P1 P 0.0000 0.2885 0.8521 1
P2 P 0.0000 0.2925 0.4529 1
P3 P 0.0000 0.2952 0.2508 1
P4 P 0.0000 0.2949 0.6519 1
P5 P 0.0000 0.2967 0.0524 1
```


Calculated powder X-ray diffraction pattern of Ni10SbP3 for Cu Kα (weighted mean of Kα1 and Kα2), from a GGA-PBE-relaxed structure.
Peak positions follow from Bragg's law for the DFT cell and can differ from measured ones.

Most intense lines, 10° ≤ 2θ ≤ 80°, by angle:
(1 1 3), 36.50 deg, 2.462 Å, I = 57
(1 2 1), 37.04 deg, 2.427 Å, I = 34
(2 0 3), 39.02 deg, 2.308 Å, I = 32
(1 2 2), 40.55 deg, 2.225 Å, I = 34
(3 0 0), 40.80 deg, 2.212 Å, I = 19
(3 0 1), 41.91 deg, 2.156 Å, I = 54
(1 1 4), 44.41 deg, 2.040 Å, I = 52
(0 3 2), 45.10 deg, 2.010 Å, I = 47
(2 0 4), 46.58 deg, 1.950 Å, I = 92
(2 2 0), 47.47 deg, 1.915 Å, I = 100

Structural model:
```
data_Ni10SbP3
_cell_length_a 7.6616
_cell_length_b 7.6616
_cell_length_c 9.6405
_cell_angle_alpha 90.00
_cell_angle_beta 90.00
_cell_angle_gamma 120.00
_symmetry_space_group_name_H-M 'P -3 m 1'
_symmetry_Int_Tables_number 164
_symmetry_space_group_name_Hall '-P 3 2"'
loop_
_atom_site_label
_atom_site_type_symbol
_atom_site_fract_x
_atom_site_fract_y
_atom_site_fract_z
_atom_site_occupancy
Ni1 Ni 0.0000 0.0000 0.1196 1
Ni2 Ni 0.0000 0.3367 0.0000 1
Ni3 Ni 0.0164 0.5082 0.2596 1
Ni4 Ni 0.1366 0.2733 0.6983 1
Ni5 Ni 0.1886 0.3772 0.4278 1
Ni6 Ni 0.3333 0.6667 0.1117 1
Ni7 Ni 0.3333 0.6667 0.5975 1
Sb1 Sb 0.0000 0.0000 0.5000 1
Sb2 Sb 0.3333 0.6667 0.8601 1
P1 P 0.0000 0.5000 0.5000 1
P2 P 0.1646 0.3293 0.1908 1
```


Calculated powder X-ray diffraction pattern of Si3NiP4 for Cu Kα (weighted mean of Kα1 and Kα2), from a GGA-PBE-relaxed structure.
Peak positions follow from Bragg's law for the DFT cell and can differ from measured ones.

Most intense lines, 10° ≤ 2θ ≤ 80°, by angle:
(0 0 2), 17.00 deg, 5.215 Å, I = 5
(1 0 1), 19.06 deg, 4.656 Å, I = 12
(1 1 0), 24.19 deg, 3.679 Å, I = 3
(1 1 2), 29.72 deg, 3.006 Å, I = 100
(2 1 3), 46.97 deg, 1.934 Å, I = 3
(2 2 0), 49.51 deg, 1.841 Å, I = 64
(1 1 6), 58.75 deg, 1.572 Å, I = 12
(3 1 2), 58.85 deg, 1.569 Å, I = 25
(0 0 8), 72.50 deg, 1.304 Å, I = 3
(4 0 0), 72.69 deg, 1.301 Å, I = 7

Structural model:
```
data_Si3NiP4
_cell_length_a 5.2034
_cell_length_b 5.2034
_cell_length_c 10.4296
_cell_angle_alpha 90.00
_cell_angle_beta 90.00
_cell_angle_gamma 90.00
_symmetry_space_group_name_H-M 'I -4 2 m'
_symmetry_Int_Tables_number 121
_symmetry_space_group_name_Hall 'I -4 2'
loop_
_atom_site_label
_atom_site_type_symbol
_atom_site_fract_x
_atom_site_fract_y
_atom_site_fract_z
_atom_site_occupancy
Si1 Si 0.0000 0.0000 0.0000 1
Si2 Si 0.0000 0.5000 0.2500 1
'''

What to do =
What is needed: duplicate everything further above unchanged.

Worked solution =
Calculated powder X-ray diffraction pattern of Re3Ni2P5 for Cu Kα (weighted mean of Kα1 and Kα2), from a GGA-PBE-relaxed structure.
Peak positions follow from Bragg's law for the DFT cell and can differ from measured ones.

Most intense lines, 10° ≤ 2θ ≤ 80°, by angle:
(0 1 5), 21.24 deg, 4.184 Å, I = 61
(0 0 10), 29.56 deg, 3.022 Å, I = 34
(0 2 0), 30.84 deg, 2.899 Å, I = 44
(1 0 5), 32.19 deg, 2.780 Å, I = 100
(0 2 10), 43.25 deg, 2.092 Å, I = 53
(1 1 10), 44.50 deg, 2.036 Å, I = 47
(1 2 5), 45.18 deg, 2.007 Å, I = 100
(0 1 15), 47.80 deg, 1.903 Å, I = 27
(1 0 15), 54.14 deg, 1.694 Å, I = 20
(2 2 10), 75.90 deg, 1.254 Å, I = 20

Structural model:
```
data_Re3Ni2P5
_cell_length_a 3.1316
_cell_length_b 5.7985
_cell_length_c 30.2153
_cell_angle_alpha 90.00
_cell_angle_beta 90.00
_cell_angle_gamma 90.00
_symmetry_space_group_name_H-M 'I m m 2'
_symmetry_Int_Tables_number 44
_symmetry_space_group_name_Hall 'I 2 -2'
loop_
_atom_site_label
_atom_site_type_symbol
_atom_site_fract_x
_atom_site_fract_y
_atom_site_fract_z
_atom_site_occupancy
Re1 Re 0.0000 0.0000 0.0000 1
Re2 Re 0.0000 0.0000 0.1980 1
Re3 Re 0.0000 0.0000 0.3975 1
Re4 Re 0.0000 0.0000 0.5982 1
Re5 Re 0.0000 0.0000 0.7959 1
Re6 Re 0.0000 0.5000 0.3797 1
Ni1 Ni 0.0000 0.5000 0.1775 1
Ni2 Ni 0.0000 0.5000 0.5789 1
Ni3 Ni 0.0000 0.5000 0.7779 1
Ni4 Ni 0.0000 0.5000 0.9780 1
P1 P 0.0000 0.2885 0.8521 1
P2 P 0.0000 0.2925 0.4529 1
P3 P 0.0000 0.2952 0.2508 1
P4 P 0.0000 0.2949 0.6519 1
P5 P 0.0000 0.2967 0.0524 1
```


Calculated powder X-ray diffraction pattern of Ni10SbP3 for Cu Kα (weighted mean of Kα1 and Kα2), from a GGA-PBE-relaxed structure.
Peak positions follow from Bragg's law for the DFT cell and can differ from measured ones.

Most intense lines, 10° ≤ 2θ ≤ 80°, by angle:
(1 1 3), 36.50 deg, 2.462 Å, I = 57
(1 2 1), 37.04 deg, 2.427 Å, I = 34
(2 0 3), 39.02 deg, 2.308 Å, I = 32
(1 2 2), 40.55 deg, 2.225 Å, I = 34
(3 0 0), 40.80 deg, 2.212 Å, I = 19
(3 0 1), 41.91 deg, 2.156 Å, I = 54
(1 1 4), 44.41 deg, 2.040 Å, I = 52
(0 3 2), 45.10 deg, 2.010 Å, I = 47
(2 0 4), 46.58 deg, 1.950 Å, I = 92
(2 2 0), 47.47 deg, 1.915 Å, I = 100

Structural model:
```
data_Ni10SbP3
_cell_length_a 7.6616
_cell_length_b 7.6616
_cell_length_c 9.6405
_cell_angle_alpha 90.00
_cell_angle_beta 90.00
_cell_angle_gamma 120.00
_symmetry_space_group_name_H-M 'P -3 m 1'
_symmetry_Int_Tables_number 164
_symmetry_space_group_name_Hall '-P 3 2"'
loop_
_atom_site_label
_atom_site_type_symbol
_atom_site_fract_x
_atom_site_fract_y
_atom_site_fract_z
_atom_site_occupancy
Ni1 Ni 0.0000 0.0000 0.1196 1
Ni2 Ni 0.0000 0.3367 0.0000 1
Ni3 Ni 0.0164 0.5082 0.2596 1
Ni4 Ni 0.1366 0.2733 0.6983 1
Ni5 Ni 0.1886 0.3772 0.4278 1
Ni6 Ni 0.3333 0.6667 0.1117 1
Ni7 Ni 0.3333 0.6667 0.5975 1
Sb1 Sb 0.0000 0.0000 0.5000 1
Sb2 Sb 0.3333 0.6667 0.8601 1
P1 P 0.0000 0.5000 0.5000 1
P2 P 0.1646 0.3293 0.1908 1
```


Calculated powder X-ray diffraction pattern of Si3NiP4 for Cu Kα (weighted mean of Kα1 and Kα2), from a GGA-PBE-relaxed structure.
Peak positions follow from Bragg's law for the DFT cell and can differ from measured ones.

Most intense lines, 10° ≤ 2θ ≤ 80°, by angle:
(0 0 2), 17.00 deg, 5.215 Å, I = 5
(1 0 1), 19.06 deg, 4.656 Å, I = 12
(1 1 0), 24.19 deg, 3.679 Å, I = 3
(1 1 2), 29.72 deg, 3.006 Å, I = 100
(2 1 3), 46.97 deg, 1.934 Å, I = 3
(2 2 0), 49.51 deg, 1.841 Å, I = 64
(1 1 6), 58.75 deg, 1.572 Å, I = 12
(3 1 2), 58.85 deg, 1.569 Å, I = 25
(0 0 8), 72.50 deg, 1.304 Å, I = 3
(4 0 0), 72.69 deg, 1.301 Å, I = 7

Structural model:
```
data_Si3NiP4
_cell_length_a 5.2034
_cell_length_b 5.2034
_cell_length_c 10.4296
_cell_angle_alpha 90.00
_cell_angle_beta 90.00
_cell_angle_gamma 90.00
_symmetry_space_group_name_H-M 'I -4 2 m'
_symmetry_Int_Tables_number 121
_symmetry_space_group_name_Hall 'I -4 2'
loop_
_atom_site_label
_atom_site_type_symbol
_atom_site_fract_x
_atom_site_fract_y
_atom_site_fract_z
_atom_site_occupancy
Si1 Si 0.0000 0.0000 0.0000 1
Si2 Si 0.0000 0.5000 0.2500 1